Material =
'''
A plane-wave DFT calculation with GGA-PBE was carried out for an optimized crystal structure of Si2SbMo.

Space-group type ... I-42d (122)
E_form (uncorrected) ... 2.76 eV per formula unit

a = 7.1528 Å, b = 7.1528 Å, c = 7.1528 Å
α = 131.14°, β = 131.14°, γ = 71.60°
Last column: nearest neighbours and their distance in Å.
Sites, in units of the cell vectors:
Si: 0.0906 0.6250 0.9656  2 Mo 2.43, 2 Sb 2.67
Si: 0.3750 0.3406 0.4656  2 Mo 2.43, 2 Sb 2.67
Si: 0.6594 0.1250 0.0344  2 Mo 2.43, 2 Sb 2.67
Si: 0.8750 0.9094 0.5344  2 Mo 2.43, 2 Sb 2.67
Sb: 0.2500 0.7500 0.5000  4 Si 2.67
Sb: 0.5000 0.5000 0.0000  4 Si 2.67
Mo: 0.0000 0.0000 0.0000  4 Si 2.43
Mo: 0.7500 0.2500 0.5000  4 Si 2.43

***

A plane-wave DFT calculation with GGA-PBE was carried out for an optimized crystal structure of NpSi2OsRu.

Space-group type ... I-4m2 (119)
E_form (uncorrected) ... -2.56 eV per formula unit

a = 5.6566 Å, b = 5.6566 Å, c = 5.6566 Å
α = 136.89°, β = 136.89°, γ = 62.61°
Last column: nearest neighbours and their distance in Å.
Sites, in units of the cell vectors:
Np: 0.0000 0.0000 0.0000  8 Si 3.18, 4 Os 3.19, 4 Ru 3.19
Si: 0.3732 0.3732 0.0000  2 Ru 2.40, 2 Os 2.40, 1 Si 2.45
Si: 0.6268 0.6268 0.0000  2 Os 2.40, 2 Ru 2.40, 1 Si 2.45
Os: 0.7500 0.2500 0.5000  4 Si 2.40
Ru: 0.2500 0.7500 0.5000  4 Si 2.40

***

A plane-wave DFT calculation with GGA-PBE was carried out for an optimized crystal structure of Na3Pm2HoO6.

Space-group type ... C2/m (12)
E_form (uncorrected) ... -32.46 eV per formula unit

a = 6.0782 Å, b = 6.0782 Å, c = 5.9629 Å
α = 99.74°, β = 99.74°, γ = 120.03°
Last column: nearest neighbours and their distance in Å.
Sites, in units of the cell vectors:
Na: 0.0000 0.0000 0.0000  6 O 2.56-2.63
Na: 0.3384 0.6616 0.0000  6 O 2.53-2.67
Na: 0.6616 0.3384 0.0000  6 O 2.53-2.67
Pm: 0.1669 0.8331 0.5000  6 O 2.38
Pm: 0.8331 0.1669 0.5000  6 O 2.38
Ho: 0.5000 0.5000 0.5000  6 O 2.30
O: 0.1055 0.4290 0.2862  1 Ho 2.30, 2 Pm 2.38, 2 Na 2.56
O: 0.2470 0.2470 0.7126  1 Ho 2.30, 2 Pm 2.38, 2 Na 2.53
O: 0.4290 0.1055 0.2862  1 Ho 2.30, 2 Pm 2.38, 2 Na 2.56
O: 0.5710 0.8945 0.7138  1 Ho 2.30, 2 Pm 2.38, 2 Na 2.56
O: 0.7530 0.7530 0.2874  1 Ho 2.30, 2 Pm 2.38, 2 Na 2.53
O: 0.8945 0.5710 0.7138  1 Ho 2.30, 2 Pm 2.38, 2 Na 2.56

***

A plane-wave DFT calculation with GGA-PBE was carried out for an optimized crystal structure of TaPd2Au2.

ΔH_f (0 K) ... 1.26 eV per formula unit
Space-group type ... I4/mmm (139)
Excess energy over the best structure of this formula in the dataset ... 558 meV/atom

a = 7.4332 Å, b = 7.4332 Å, c = 7.4332 Å
α = 151.52°, β = 151.52°, γ = 40.71°
Last column: nearest neighbours and their distance in Å.
Sites, in units of the cell vectors:
Ta: 0.0000 0.0000 0.0000  8 Pd 2.89
Pd: 0.4080 0.4080 0.0000  1 Pd 2.56, 4 Au 2.86
Pd: 0.5920 0.5920 0.0000  1 Pd 2.56, 4 Au 2.86
Au: 0.2500 0.7500 0.5000  4 Au 2.59, 4 Pd 2.86
Au: 0.7500 0.2500 0.5000  4 Au 2.59, 4 Pd 2.86

***

A plane-wave DFT calculation with GGA-PBE was carried out for an optimized crystal structure of SBr3O.

Space-group type ... Pm-3m (221)
E_form (uncorrected) ... 4.92 eV per formula unit
Excess energy over the best structure of this formula in the dataset ... 0 meV/atom

a = 4.8347 Å, b = 4.8347 Å, c = 4.8347 Å
α = 90.00°, β = 90.00°, γ = 90.00°
Last column: nearest neighbours and their distance in Å.
Sites, in units of the cell vectors:
S: 0.0000 0.0000 0.0000  12 Br 3.42
Br: 0.0000 0.5000 0.5000  2 O 2.42
Br: 0.5000 0.0000 0.5000  2 O 2.42
Br: 0.5000 0.5000 0.0000  2 O 2.42
O: 0.5000 0.5000 0.5000  6 Br 2.42

***

A plane-wave DFT calculation with GGA-PBE was carried out for an optimized crystal structure of PmHoCSe.

Space-group type ... R3m (160)
E_form (uncorrected) ... -4.25 eV per formula unit

a = 7.1653 Å, b = 7.1653 Å, c = 7.1653 Å
α = 30.61°, β = 30.61°, γ = 30.61°
Last column: nearest neighbours and their distance in Å.
Sites, in units of the cell vectors:
Pm: 0.0000 0.0000 0.0000  3 C 2.60
Ho: 0.1993 0.1993 0.1993  3 C 2.56
'''

Work order =
Please repeat everything earlier on unchanged.

Done =
A plane-wave DFT calculation with GGA-PBE was carried out for an optimized crystal structure of Si2SbMo.

Space-group type ... I-42d (122)
E_form (uncorrected) ... 2.76 eV per formula unit

a = 7.1528 Å, b = 7.1528 Å, c = 7.1528 Å
α = 131.14°, β = 131.14°, γ = 71.60°
Last column: nearest neighbours and their distance in Å.
Sites, in units of the cell vectors:
Si: 0.0906 0.6250 0.9656  2 Mo 2.43, 2 Sb 2.67
Si: 0.3750 0.3406 0.4656  2 Mo 2.43, 2 Sb 2.67
Si: 0.6594 0.1250 0.0344  2 Mo 2.43, 2 Sb 2.67
Si: 0.8750 0.9094 0.5344  2 Mo 2.43, 2 Sb 2.67
Sb: 0.2500 0.7500 0.5000  4 Si 2.67
Sb: 0.5000 0.5000 0.0000  4 Si 2.67
Mo: 0.0000 0.0000 0.0000  4 Si 2.43
Mo: 0.7500 0.2500 0.5000  4 Si 2.43

***

A plane-wave DFT calculation with GGA-PBE was carried out for an optimized crystal structure of NpSi2OsRu.

Space-group type ... I-4m2 (119)
E_form (uncorrected) ... -2.56 eV per formula unit

a = 5.6566 Å, b = 5.6566 Å, c = 5.6566 Å
α = 136.89°, β = 136.89°, γ = 62.61°
Last column: nearest neighbours and their distance in Å.
Sites, in units of the cell vectors:
Np: 0.0000 0.0000 0.0000  8 Si 3.18, 4 Os 3.19, 4 Ru 3.19
Si: 0.3732 0.3732 0.0000  2 Ru 2.40, 2 Os 2.40, 1 Si 2.45
Si: 0.6268 0.6268 0.0000  2 Os 2.40, 2 Ru 2.40, 1 Si 2.45
Os: 0.7500 0.2500 0.5000  4 Si 2.40
Ru: 0.2500 0.7500 0.5000  4 Si 2.40

***

A plane-wave DFT calculation with GGA-PBE was carried out for an optimized crystal structure of Na3Pm2HoO6.

Space-group type ... C2/m (12)
E_form (uncorrected) ... -32.46 eV per formula unit

a = 6.0782 Å, b = 6.0782 Å, c = 5.9629 Å
α = 99.74°, β = 99.74°, γ = 120.03°
Last column: nearest neighbours and their distance in Å.
Sites, in units of the cell vectors:
Na: 0.0000 0.0000 0.0000  6 O 2.56-2.63
Na: 0.3384 0.6616 0.0000  6 O 2.53-2.67
Na: 0.6616 0.3384 0.0000  6 O 2.53-2.67
Pm: 0.1669 0.8331 0.5000  6 O 2.38
Pm: 0.8331 0.1669 0.5000  6 O 2.38
Ho: 0.5000 0.5000 0.5000  6 O 2.30
O: 0.1055 0.4290 0.2862  1 Ho 2.30, 2 Pm 2.38, 2 Na 2.56
O: 0.2470 0.2470 0.7126  1 Ho 2.30, 2 Pm 2.38, 2 Na 2.53
O: 0.4290 0.1055 0.2862  1 Ho 2.30, 2 Pm 2.38, 2 Na 2.56
O: 0.5710 0.8945 0.7138  1 Ho 2.30, 2 Pm 2.38, 2 Na 2.56
O: 0.7530 0.7530 0.2874  1 Ho 2.30, 2 Pm 2.38, 2 Na 2.53
O: 0.8945 0.5710 0.7138  1 Ho 2.30, 2 Pm 2.38, 2 Na 2.56

***

A plane-wave DFT calculation with GGA-PBE was carried out for an optimized crystal structure of TaPd2Au2.

ΔH_f (0 K) ... 1.26 eV per formula unit
Space-group type ... I4/mmm (139)
Excess energy over the best structure of this formula in the dataset ... 558 meV/atom

a = 7.4332 Å, b = 7.4332 Å, c = 7.4332 Å
α = 151.52°, β = 151.52°, γ = 40.71°
Last column: nearest neighbours and their distance in Å.
Sites, in units of the cell vectors:
Ta: 0.0000 0.0000 0.0000  8 Pd 2.89
Pd: 0.4080 0.4080 0.0000  1 Pd 2.56, 4 Au 2.86
Pd: 0.5920 0.5920 0.0000  1 Pd 2.56, 4 Au 2.86
Au: 0.2500 0.7500 0.5000  4 Au 2.59, 4 Pd 2.86
Au: 0.7500 0.2500 0.5000  4 Au 2.59, 4 Pd 2.86

***

A plane-wave DFT calculation with GGA-PBE was carried out for an optimized crystal structure of SBr3O.

Space-group type ... Pm-3m (221)
E_form (uncorrected) ... 4.92 eV per formula unit
Excess energy over the best structure of this formula in the dataset ... 0 meV/atom

a = 4.8347 Å, b = 4.8347 Å, c = 4.8347 Å
α = 90.00°, β = 90.00°, γ = 90.00°
Last column: nearest neighbours and their distance in Å.
Sites, in units of the cell vectors:
S: 0.0000 0.0000 0.0000  12 Br 3.42
Br: 0.0000 0.5000 0.5000  2 O 2.42
Br: 0.5000 0.0000 0.5000  2 O 2.42
Br: 0.5000 0.5000 0.0000  2 O 2.42
O: 0.5000 0.5000 0.5000  6 Br 2.42

***

A plane-wave DFT calculation with GGA-PBE was carried out for an optimized crystal structure of PmHoCSe.

Space-group type ... R3m (160)
E_form (uncorrected) ... -4.25 eV per formula unit

a = 7.1653 Å, b = 7.1653 Å, c = 7.1653 Å
α = 30.61°, β = 30.61°, γ = 30.61°
Last column: nearest neighbours and their distance in Å.
Sites, in units of the cell vectors:
Pm: 0.0000 0.0000 0.0000  3 C 2.60
Ho: 0.1993 0.1993 0.1993  3 C 2.56